I Just Want to Draw Comics Quietly

   For the upcoming summer, major animation companies have various plans.

   Originally, the animation of Natsume's Friends Account was just one example of many comic changes and light novels in the animation industry of Long Country.

   is not only Shuiyuan, but the other comic companies of the Seven Magic Capitals basically have many manga works adapted for animation every year.....

   But inexplicably, the work of Natsume's Friends Account has created tremendous pressure on companies that are preparing to make a splash in the summer animation market.

   Although Chu Yu nowadays can be considered as a high-level manga artist in the comics industry, there are many cartoonists who are more influential than Chu Yu.

_Misplaced calculated crystals_
No. 1
This entry pairs a crystal structure of DyZrF7 with its theoretical X-ray powder pattern. Radiation: a wavelength of 1.5418 Å. Structure: a cell relaxed with GGA-PBE.
Neutral-atom scattering factors, no anomalous dispersion.

Atomic structure:
```
DyZrF7
1.0
6.124 0.000 0.000
0.000 5.726 0.000
-1.742 0.000 8.138
Dy Zr F
2 2 14
Direct
0.155 0.000 0.184 Dy
0.845 0.500 0.816 Dy
0.312 0.990 0.724 Zr
0.688 0.490 0.276 Zr
0.043 0.204 0.713 F
0.044 0.306 0.022 F
0.121 0.694 0.719 F
0.254 0.995 0.474 F
0.360 0.988 0.974 F
0.424 0.270 0.268 F
0.457 0.753 0.259 F
0.543 0.253 0.741 F
0.576 0.770 0.732 F
0.640 0.488 0.026 F
0.746 0.495 0.526 F
0.879 0.194 0.281 F
0.956 0.806 0.978 F
0.957 0.704 0.287 F
```

Most intense lines, 10 to 90 degrees two-theta, by intensity:
| 2θ/deg | intensity | (hkl) |
| --- | --- | --- |
| 21.47 | 100 | 1 1 0 |
| 21.84 | 36 | 0 0 2 |
| 28.45 | 29 | 1 1 -2 |
| 25.52 | 24 | 1 1 1 |
| 46.84 | 17 | 2 2 1 |
| 26.88 | 16 | 0 1 2 |
| 47.31 | 15 | 3 1 -1 |
| 43.54 | 15 | 2 2 -1 |
| 31.24 | 13 | 0 2 0 |
| 10.87 | 12 | 0 0 1 |

---

No. 2
This entry pairs a crystal structure of DyFe5 with its theoretical X-ray powder pattern. Radiation: a wavelength of 1.5418 Å. Structure: a cell relaxed with GGA-PBE.
Neutral-atom scattering factors, no anomalous dispersion.

Atomic structure:
```
DyFe5
1.0
5.006 0.000 0.000
-2.503 4.336 0.000
0.000 0.000 3.953
Dy Fe
1 5
Direct
0.000 0.000 0.000 Dy
0.000 0.500 0.500 Fe
0.333 0.667 0.000 Fe
0.500 0.000 0.500 Fe
0.500 0.500 0.500 Fe
0.667 0.333 0.000 Fe
```

Most intense lines, 10 to 90 degrees two-theta, by intensity:
| 2θ/deg | intensity | (hkl) |
| --- | --- | --- |
| 42.76 | 100 | 1 1 1 |
| 30.60 | 57 | 1 0 1 |
| 41.66 | 37 | 2 0 0 |
| 35.87 | 35 | 1 1 0 |
| 45.91 | 24 | 0 0 2 |
| 69.21 | 22 | 3 0 1 |
| 63.72 | 20 | 2 0 2 |
| 82.76 | 20 | 1 1 3 |
| 61.23 | 16 | 2 1 1 |
| 59.60 | 16 | 1 1 2 |

---

- What is the formula in the first record?
  DyZrF7


[1]
Structure and computed X-ray powder pattern of Sn2HgBPt (a cell relaxed with PBE; Cu Ka).
Peak positions follow from Bragg's law for the DFT cell and can differ from measured ones.

Structural model:
Lattice parameters (Å, degrees): 5.117 5.117 4.108 90.00 90.00 90.00
Atoms (fractional coordinates):
Sn: 0.000 0.500 0.000
Sn: 0.500 0.000 0.000
Hg: 0.000 0.000 0.500
B: 0.500 0.500 0.000
Pt: 0.500 0.500 0.500

Main lines, sorted by position (10 to 80 degrees two-theta):
- 21.6 deg, I = 3
- 24.6 deg, I = 7
- 33.0 deg, I = 100
- 35.1 deg, I = 45
- 41.6 deg, I = 3
- 44.1 deg, I = 12
- 50.4 deg, I = 16
- 51.1 deg, I = 2
- 57.5 deg, I = 22
- 61.6 deg, I = 35
- 69.2 deg, I = 13
- 74.1 deg, I = 16

[2]
Structure and computed X-ray powder pattern of Cu2NiTe (a cell relaxed with PBE; Cu Ka).
Peak positions follow from Bragg's law for the DFT cell and can differ from measured ones.

Structural model:
Lattice parameters (Å, degrees): 4.623 4.623 3.936 112.08 112.08 49.70
Atoms (fractional coordinates):
Cu: 0.000 0.000 0.000
Cu: 0.749 0.749 0.228

   But in the animation industry... the name of Shui Xin is already very famous in the industry.

  Although he participated in the production of three animation works, the worst of these three works is actually the unheard name with an average broadcast volume of 9 million...

  This......It's really nonsense.

  In the Dragon Kingdom, the normal popular animations have an average collection of 4 to 5 million, and there are not many works that can reach an average of 7 or 8 million in a year.

   And the collection of animation works with tens of millions of shows, they are the top works in the true sense of Long Guo. In the past ten years, there have been 16 works such as Long Guo...

   There are nine of them, and they appeared together in the magical year of the Dragon Kingdom animation industry in 2013, and the Dragon Kingdom animation industry in that year was just one sentence... Gods fight.

   Except for the special circumstances of that year, in the other nine years, there were only seven animation works with an average broadcast volume of more than 10 million. On average, it may not be possible to produce such a work in one year.

And in the two years of 2020 and 2021, there was no such work. In the past two years, there were only three animation works that were closest to the data of tens of millions of broadcasts... .

   The "Hermit" in 2020 has an average of 9.13 million views. The "Unheard Flower Name" broadcast in 2021 has an average broadcast volume of 9.2 million. As well as the animation works that were also broadcast in 2021, it is also the "Devil's Adventure", which was rated as the most popular new animation in 2021, with an average broadcast volume of 9.7 million.

It is precisely because of this that in January 2022, when the animation playback volume of the two works of 5 cm per second and the sound of the stars has exceeded 10 million, the various practitioners in the Long Country animation industry are basically everywhere. It is the topic of discussing these two works, as well as the biggest hero behind the discussion of the success of these two works, Huang Minghe...Shui Xin.

   It is a pity that although the data of the two works are so beautiful, the same, their shortcomings...the duration is also revealed.

If the two works are quarterly animations of that kind, with such an average broadcast volume, then their influence in the Dragon Kingdom may be several times more than it is now. Shui Xin and Huang Ming can also rely on these two works. God of war.

Such a short story is much more difficult to succeed than a long story. After being successful, with the same average broadcast score, the income and influence are not as good as the long story. That's why nowadays, Longguo's short story Animation is very rare.

   But in any case, Shui Xin's screenwriting skills have been unanimously recognized by the industry.....It is terribly strong.

   His unfamiliar achievements in the lower limit works of the Long Kingdom animation industry are already a height that a normal animation practitioner can't reach for a lifetime.

It is precisely because of this that for Shui Xin, a cartoonist who likes to stir up troubles in the animation industry, his comic animation "Natsume Friends Account" broadcast in April, it is difficult for companies not to take a correct attitude. Many animations The website directly named Natsume's Friends Account as a strong contender for the summer animation popularity championship.

In this regard, the related person in charge of the animation adaptation company Jiuxing of Natsume's Friends Account also has a headache... For the 13 episodes of the first season of Natsume's Friends Account, Jiuxing gave a small budget, only 20 million yuan. production cost.

But inexplicably, they are regarded as rivals by the animation works of the same industry with an investment of 30 to 40 million, and the comic fans of Natsume's Friends Account are also very much looking forward to the quality of the production of Natsume's Friends Account and not lose to the speed of five centimeters per second and the voice of stars... .... What's wrong with this.

   Five centimeters per second and The Voice of Stars are two works. The script and music are provided by Shui Xin Shen for free for the boss. The production staff are not only experienced in the industry, but also cheap.

   And on the screen, it is said that Shui Xin has taken over the design of most of the exquisite scenes.

   It's not difficult to spend money to find someone to draw the picture exquisitely, with a higher frame rate.

   But where do you go to find another wallpaper crazy magic water heart, design background to make the picture look beautiful like art?

In this regard, the animation production team of Natsume's Friends Account is also really under great pressure, with the expectations of colleagues and fans, and the budget is not high, and they are doing well. Everyone will definitely think that Shui Xin's plot creation ability is The key to success is that if the production is not good, Natsume's friend will be on the street.....

Ren Shui Xin pulls an animation team composed of a group of social travellers, invests 5 million to produce four episodes of animation and can achieve an average of 10 million, and the script of the same person is handed to you, and 20 million to do 13 episodes of animation. Actually pounced on the street?

   Who the audience will scold, the answer is very clear.


   But anyway, February will soon end, and March will come.

   The climate is getting warmer. After such a long period of double-opening comic series, Chu Yu's work efficiency has improved a lot now.

His current work situation has changed to using one day to work overtime to draw two comics, and then take a rest the next day, and repeat this alternately.....It counts as working four days a week, and then daily life without work for three days. .... But even so, there has never been a delay in Chu Yu's cartoon drawing.

  Of course, this has a lot to do with Chu Yuyou's copying of original works without spending a lot of time thinking about the plot, but more importantly, the system's original rewards for novices...

The skill that was originally given to the system for free to improve the efficiency of comic drawing, now Chu Yu feels it is really a magical skill. As his proficiency in drawing comics increases, the utility of this skill is also increasing... Chu Yu roughly estimated that, Without this skill, his work efficiency is probably less than one-third of today's.

After all, humans are not machines, and they always make mistakes, but this skill can make Chu Yu's hands look like machines~www.mtlnovel.com~ accurately and quickly draw the picture in his mind...Of course , After painting for a long time, the hands will still be tired and painful, and need to rest. This is the influence of the laws of physics, and it is useless to have plug-ins.

However, under the energetic situation, if Chu Yu is not ready to modify the original picture in his mind and copy directly, then the speed is simply fast, but...Chu Yu now has his own understanding of comics, some original works He thinks that the pictures that can be improved will also be improved by himself. Nowadays, the most time-consuming places for him to draw comics are in these places.

   Anyway, now Chuyu can no longer be described by a tentacle monster. The average manga tentacle monster also kneels down and worships his eldest brother when he sees his painting accuracy and speed.

   And Chuyu's two assistants...just to complete the post-production work of the manga manuscript he completed in one day, it takes two days.

  In the hearts of the two of them, they shouted that Chuyu was not a human being...This was not the meaning of scolding Chuyu, but just as it meant, that Chuyu was not a human being.

   But... In the middle of March, it was not just the two of them who criticized Chu Yu for not being human.

   After the initial D serialization of the new issue yesterday, Chu Yu's Weibo is again daily... Fans began to riot.